== File ==
____________
Below is a relaxed structure of AcLaHg5, with properties calculated at the PBE level.

```
data_AcLaHg5
_symmetry_space_group_name_H-M 'P 4/m m m'
_symmetry_Int_Tables_number 123
_symmetry_space_group_name_Hall '-P 4 2'
_cell_length_a 5.421
_cell_length_b 5.421
_cell_length_c 7.221
_cell_angle_alpha 90.00
_cell_angle_beta 90.00
_cell_angle_gamma 90.00
loop_
_atom_site_label
_atom_site_type_symbol
_atom_site_fract_x
_atom_site_fract_y
_atom_site_fract_z
_atom_site_occupancy
Ac1 Ac 0.000 0.000 0.000 1
La1 La 0.500 0.500 0.500 1
Hg1 Hg 0.000 0.500 0.271 1
Hg2 Hg 0.500 0.500 0.000 1
```

D(E_F) = 5.90 states/eV/cell
ΔE_f = -0.3346 eV/atom

~~~~~

VASP calculation (PBE with a Hubbard U) on an optimized crystal structure of Nd3MnO7.

Lattice parameters (Å, degrees): 6.631 6.631 7.598 90.00 90.00 109.08
Positions (direct):
Nd (0.030, 0.030, 0.000)
Nd (0.039, 0.497, 0.256)
Nd (0.497, 0.039, 0.744)
Nd (0.503, 0.961, 0.244)
Nd (0.961, 0.503, 0.756)
Nd (0.970, 0.970, 0.500)
Mn (0.495, 0.495, 0.000)
Mn (0.505, 0.505, 0.500)
O (0.130, 0.870, 0.750)
O (0.135, 0.865, 0.250)
O (0.186, 0.426, 0.976)
O (0.199, 0.438, 0.533)
O (0.426, 0.186, 0.024)
O (0.437, 0.563, 0.250)
O (0.438, 0.199, 0.467)
O (0.562, 0.801, 0.967)
O (0.563, 0.437, 0.750)
O (0.574, 0.814, 0.524)
O (0.801, 0.562, 0.033)
O (0.814, 0.574, 0.476)
O (0.865, 0.135, 0.750)
O (0.870, 0.130, 0.250)

Computed properties:
Size of the total moment = 2.0 μB/f.u.
E_tot = -7.756 eV/atom
DOS(E_F) = 0.57 states/eV/atom
Symmetry = C222_1 (20)
V = 14.354 Å³/atom
____________

== To do ==
Please filter the data further up: keep the lines with the word "Ac".

== Done ==
Ac1 Ac 0.000 0.000 0.000 1